**Assignment:**
Filter the listing underneath: keep the lines with the word "BeAlCoSi2".
**Given:**
/*
(1)
# BeAl2CoS

A relaxed structure of BeAl2CoS (GGA-PBE, the Alexandria database).

Output
ΔE_f (raw): 768 meV/atom
Space-group type: P4/mmm (123)
Volume: 82.3 Å³/cell

a b c (Å): 4.3967 4.3967 4.2584
angles (deg): 90.00 90.00 90.00
Atoms (fractional coordinates):
Be 0.0000 0.0000 0.0000
Al 0.0000 0.5000 0.0000
Al 0.5000 0.0000 0.0000
Co 0.5000 0.5000 0.5000
S 0.0000 0.0000 0.5000

---

(2)
# BeAlCoSi2

A relaxed structure of BeAlCoSi2 (GGA-PBE, the Alexandria database).

Output
ΔE_f (raw): 1391 meV/atom
Space-group type: P4/mmm (123)
Volume: 92.9 Å³/cell

a b c (Å): 4.7137 4.7137 4.1792
angles (deg): 90.00 90.00 90.00
Atoms (fractional coordinates):
Be 0.0000 0.0000 0.0000
Al 0.0000 0.0000 0.5000
Co 0.5000 0.5000 0.0000
Si 0.0000 0.5000 0.5000
Si 0.5000 0.0000 0.5000

---

(3)
# BeAlCo2Tc

A relaxed structure of BeAlCo2Tc (GGA-PBE, the Alexandria database).

Output
E_form: 7.27 eV/f.u.
Space-group type: P4/mmm (123)
Volume: 89.1 Å³/cell

a b c (Å): 4.3804 4.3804 4.6421
angles (deg): 90.00 90.00 90.00
Atoms (fractional coordinates):
Be 0.0000 0.0000 0.0000
Al 0.5000 0.5000 0.0000
Co 0.0000 0.5000 0.5000
Co 0.5000 0.0000 0.5000
Tc 0.5000 0.5000 0.5000

---

(4)
# Th2BeAlCo6

A relaxed structure of Th2BeAlCo6 (GGA-PBE, the Alexandria database).

Output
E_form: -0.59 eV/f.u.
Space-group type: Fm-3m (225)
Volume: 148.9 Å³/cell

a b c (Å): 5.9496 5.9496 5.9496
angles (deg): 60.00 60.00 60.00
Atoms (fractional coordinates):
Th 0.2500 0.2500 0.2500
Th 0.7500 0.7500 0.7500
Be 0.0000 0.0000 0.0000
Al 0.5000 0.5000 0.5000
Co 0.2357 0.2357 0.7643
Co 0.2357 0.7643 0.2357
Co 0.2357 0.7643 0.7643
Co 0.7643 0.2357 0.2357
Co 0.7643 0.2357 0.7643
Co 0.7643 0.7643 0.2357

---

(5)
# Ti2Be2AlCo5

A relaxed structure of Ti2Be2AlCo5 (GGA-PBE, the Alexandria database).

Output
E_form: -4.27 eV/f.u.
Space-group type: P4/mbm (127)
Volume: 221.8 Å³/cell

a b c (Å): 8.6327 8.6327 2.9760
angles (deg): 90.00 90.00 90.00
Atoms (fractional coordinates):
Ti 0.1757 0.3243 0.0000
Ti 0.3243 0.8243 0.0000
Ti 0.6757 0.1757 0.0000
Ti 0.8243 0.6757 0.0000
Be 0.1210 0.6210 0.0000
Be 0.3790 0.1210 0.0000
Be 0.6210 0.8790 0.0000
Be 0.8790 0.3790 0.0000
Al 0.0000 0.0000 0.0000
Al 0.5000 0.5000 0.0000
Co 0.0000 0.5000 0.5000
Co 0.0695 0.7873 0.5000
Co 0.2127 0.0695 0.5000
Co 0.2873 0.5695 0.5000
Co 0.4305 0.2873 0.5000
Co 0.5000 0.0000 0.5000
Co 0.5695 0.7127 0.5000
Co 0.7127 0.4305 0.5000
Co 0.7873 0.9305 0.5000
Co 0.9305 0.2127 0.5000

---

(6)
# TiBeAl2Co

A relaxed structure of TiBeAl2Co (GGA-PBE, the Alexandria database).

Output
E_form: 0.88 eV/f.u.
Space-group type: P4/mmm (123)
Volume: 68.8 Å³/cell

a b c (Å): 4.2054 4.2054 3.8925
angles (deg): 90.00 90.00 90.00
Atoms (fractional coordinates):
Ti 0.0000 0.0000 0.0000
Be 0.5000 0.5000 0.5000
Al 0.0000 0.5000 0.5000
Al 0.5000 0.0000 0.5000
Co 0.5000 0.5000 0.0000

---

(7)
# Y2BeAlCo6

A relaxed structure of Y2BeAlCo6 (GGA-PBE, the Alexandria database).

Output
E_form: 1.10 eV/f.u.
Space-group type: Fm-3m (225)
Volume: 146.5 Å³/cell

a b c (Å): 5.9172 5.9172 5.9172
angles (deg): 60.00 60.00 60.00
Atoms (fractional coordinates):
Y 0.2500 0.2500 0.2500
Y 0.7500 0.7500 0.7500
Be 0.0000 0.0000 0.0000
Al 0.5000 0.5000 0.5000
Co 0.2344 0.2344 0.7656
Co 0.2344 0.7656 0.2344
Co 0.2344 0.7656 0.7656
Co 0.7656 0.2344 0.2344
Co 0.7656 0.2344 0.7656
Co 0.7656 0.7656 0.2344

---

(8)
# BeAl2Cr

A relaxed structure of BeAl2Cr (GGA-PBE, the Alexandria database).

Output
E_form: 0.57 eV/f.u.
Space-group type: P4mm (99)
Volume: 51.6 Å³/cell

a b c (Å): 2.5993 2.5993 7.6324
angles (deg): 90.00 90.00 90.00
Atoms (fractional coordinates):
Be 0.0000 0.0000 0.0000
Al 0.0000 0.0000 0.4667
Al 0.5000 0.5000 0.7722
Cr 0.5000 0.5000 0.2139

~~~~~

A relaxed Ca2ZnFe crystal, computed with GGA-PBE.

Cell lengths 6.157, 6.157, 6.157 Å; angles 146.75, 131.76, 59.85 degrees
Atoms (fractional coordinates):
Ca 0.000 0.000 0.000
Ca 0.707 0.207 0.500
Zn 0.437 0.437 0.000
Fe 0.272 0.772 0.500

SG: No. 44
ΔE_f: 0.8 eV/f.u.
*/
**Outcome:**
# BeAlCoSi2
A relaxed structure of BeAlCoSi2 (GGA-PBE, the Alexandria database).